Jun Xiao
Research Area :
I got my Bachelor degree from Shanghai Jiao Tong University in 2006, then graduated from Institute of Botany, Chinese Academy of Sciences, with PhD degree in developmental biology in 2012. I went to University of Pennsylvania in 2013 as a postdoctoral researcher. Recently, I joined the Department of Molecular Agrobiology, Institute of Genetics and Developmental Biology, CAS in June, 2018. My research is mainly about epigenetic regulation of plant development and response to environmental cues. I have published 8 (Co)first author papers in high impact journals, including Nature Genetics, Nature Communications, eLife, Genome Biology, Current Opinion in Plant Biology.
Research Interests:
Attached: records of crystals:
<<<
! CsCoMoF6 (PBE with a Hubbard U, relaxed); values from VASP
! - symmetry = Imma (74)
! - total energy (eV per cell) = -94.15
! - total magnetic moment (μB per atom) = 0.668
&SYSTEM
  ibrav = 0, nat = 18, ntyp = 4
/
ATOMIC_SPECIES
Cs 132.91 Cs.upf
Co 58.93 Co.upf
Mo 95.94 Mo.upf
F 19.00 F.upf
ATOMIC_POSITIONS crystal
Cs 0.846 0.596 0.693
Cs 0.154 0.404 0.307
Co 0.500 0.500 0.000
Co 0.500 0.000 0.000
Mo 0.500 0.000 0.500
Mo 0.000 0.000 0.500
F 0.443 0.693 0.885
F 0.829 0.079 0.658
F 0.821 0.085 0.260
F 0.439 0.675 0.260
F 0.439 0.085 0.260
F 0.821 0.675 0.260
F 0.557 0.307 0.115
F 0.171 0.921 0.342
F 0.179 0.915 0.740
F 0.561 0.325 0.740
F 0.561 0.915 0.740
F 0.179 0.325 0.740
CELL_PARAMETERS angstrom
7.761 0.000 0.000
0.000 7.589 0.000
-3.880 -3.794 5.483
>>>
The research in my lab focus on epigenetic regulation of floral transition, flower development, food production, and adaptation to changeable environments (such as light condition and ambient temperature) in bread wheat and model plant Arabidopsis. Our research will combine epigenome, transcriptome, forward (mutant screening) and reverse genetics to understand how developmental or environmental cue-triggered reprogramming of cell identity or function in multicellular eukaryotes is mediated by chromatin regulatory complexes. With that, NGS, genetics, biochemistry, molecular and cellular biology assays would be conducted. Selected Publication:
1.Xiao J, Jin R, Yu X, Shen M, Wagner J, Pai A, Song C, Zhuang M, Kelasfeld S, He CS, Santos AM, Helliwell C, Pruneda-Paz J, Kay S, Lin XW, Cui SJ, Fernandez M, Clarenz O, Goodrich J, Zhang XY, Austin R, Bonasio R, Wagner D. (2017) Cis- and trans-determinants of Polycomb Repressive Complex 2 recruitment in Arabidopsis. Nature Genetics, doi:10.1038/ng.3937 (Nature Genetic news and views highlight, F1000 Prime)
2. Xiao J, Xu S*, Li C*, Xu Y, Xing L, Niu Y, Huan Q, Tang Y, Zhao C, Wagner D, Gao C, Chong K. (2014) O-GlcNAc-mediated interaction between VER2 and TaGRP2 elicits TaVRN1 mRNA accumulation during vernalization in winter wheat. Nature Communications 5:4572. ( F1000 Prime)
3.Wu MF*, Yamaguchi N*, Xiao J*, Bargmann B, Estelle M, Sang Y, Wagner D. (2015) An auxin-regulated chromatin state switch directs organogenesis in Arabidopsis. eLife 4:e09269. (Co-first author, F1000 Prime)
4.Xiao J*, Jin R*, Wagner D. (2017) Developmental transitions: integrating environmental cues with hormonal signaling in the chromatin landscape. Genome Biology, 18 (1):88.
6.Xiao J*, Li CH*, Xu SJ, Xing LJ, Xu YY, Chong K. (2015) AtJAC1 Regulates Nuclear Accumulation of GRP7, influencing RNA processing of FLC antisense transcripts and flowering time in Arabidopsis. Plant Physiol 169 (3):2102-2117.
7.Xiao J, Lee US, Wagner D. (2016) Tug of war: adding and removing histone lysine methylation in Arabidopsis. Curr Opin Plant Biol 4:41-53.
8.Xiao J, Zhang H, Xing LJ, Xu SJ, Liu HH, Chong K, Xu YY. (2013) Requirement of histone acetyltransferases HAM1/2 for epigenetic modification of FLC to regulate flowering in Arabidopsis. J Plant Physiol 170(4):444-451.
9. Ma Y, Dai X, Xu Y, Luo W, Zheng X, Zeng D, Pan Y, Lin X, Liu H, Zhang D, Xiao J, Guo X, Xu S, Niu Y, Jin J, Zhang H, Xu X, Li L, Wang W, Qian Q, Ge S, Chong K. (2015) COLD1 Confers Chilling Tolerance in Rice. Cell 160(6):1209-1221. ( F1000 Prime, Cover story)
10.Bossi F, Fan J, Xiao J, Chandra L, Shen M, Wagner D, Rhee SY. (2017) Systematic discovery of novel eukaryotic transcriptional regulators using non-sequence homology based prediction. BMC Genomics, 18:480 DOI: 10.1186/s12864-017-3853-9
11.Liu YJ, Xu YY, Xiao J, Ma QB, Li D, Xue Z, Chong K. (2011) OsDOG, a gibberellin-induced A20/AN1 zinc-finger protein, negatively regulates gibberellin-mediated cell elongation in rice. J Plant Physiol 168(10):1098-1105.
12.Li J, Jiang JF, Qian Q, Xu YY, Zhang C, Xiao J, Du C, Luo W, Zou GX, Chen ML, Huang YQ, Feng YQ, Cheng ZK, Yuan M, Chong K. (2011) Mutation of Rice BC12/GDD1, Which Encodes a Kinesin-Like Protein That Binds to a GA Biosynthesis Gene Promoter, Leads to Dwarfism with Impaired Cell Elongation. Plant Cell 23(2):628-640.
13.Ma QB, Dai XY, Xu YY, Guo J, Liu YJ, Chen N, Xiao J, Zhang DJ, Xu ZH, Zhang XS* and Chong K*. (2009) Enhanced tolerance to chilling stress in OsMYB3R-2 transgenic rice is mediated by alteration in cell cycle and ectopic expression of stress genes. Plant Physiol 150: 244-256. |